Contents
Theoretical powder X-ray diffraction pattern
Compound: Er3UAg3S8
Radiation: CuKα
Structure: the PBE geometry in Alexandria
Neutral-atom scattering factors, no anomalous dispersion.

```
data_Er3UAg3S8
_chemical_formula_sum 'Er6 U2 Ag6 S16'
_symmetry_space_group_name_H-M 'C 1 2/m 1'
_symmetry_Int_Tables_number 12
_cell_length_a 13.0887
_cell_length_b 7.9850
_cell_length_c 7.6954
_cell_angle_alpha 90.00
_cell_angle_beta 122.61
_cell_angle_gamma 90.00
loop_
_symmetry_equiv_pos_as_xyz
'x,y,z'
'-x,-y,-z'
'-x,y,-z'
'x,-y,z'
'x+1/2,y+1/2,z'
'-x+1/2,-y+1/2,-z'
'-x+1/2,y+1/2,-z'
'x+1/2,-y+1/2,z'
loop_
_atom_site_label
_atom_site_type_symbol
_atom_site_fract_x
_atom_site_fract_y
_atom_site_fract_z
_atom_site_occupancy
Er1 Er 0.0000 0.0000 0.0000 1
Er2 Er 0.2500 0.2500 0.5000 1
U1 U 0.0000 0.5000 0.0000 1
Ag1 Ag 0.0000 0.5000 0.5000 1
Ag2 Ag 0.2500 0.2500 0.0000 1
S1 S 0.0042 0.2508 0.2432 1
S2 S 0.2448 0.5000 0.2551 1
S3 S 0.2472 0.0000 0.2546 1
```

Main lines, by angle (10 to 90 degrees two-theta):
- 13.68°, 6.472 Å, I 20, hkl 1 1 0
- 14.43°, 6.138 Å, I 32, hkl 2 0 -1
- 26.23°, 3.397 Å, I 20, hkl 2 0 1
- 27.56°, 3.236 Å, I 79, hkl 2 2 0
- 29.10°, 3.069 Å, I 23, hkl 4 0 -2
- 32.34°, 2.768 Å, I 100, hkl 2 2 -2
- 32.48°, 2.756 Å, I 49, hkl 4 0 0
- 45.45°, 1.996 Å, I 57, hkl 2 2 2
- 47.52°, 1.914 Å, I 33, hkl 6 2 -2
- 75.59°, 1.258 Å, I 20, hkl 0 4 4

* * * * *

Computed powder diffractogram
Compound: BHF4
Radiation: Cu Kα
Structure: the PBE geometry in Alexandria
Peak positions follow from Bragg's law for the DFT cell and can differ from measured ones.

Crystal structure
a = 4.1515 Å, b = 4.1515 Å, c = 6.6008 Å
α = 90.00°, β = 90.00°, γ = 90.00°
Space group I-4 (No. 82)
Unique sites:
B 0.0000 0.0000 0.0000 x2
H 0.0000 0.5000 0.7500 x2
F 0.1494 0.7610 0.8784 x8

Principal peaks in the range 10 to 90 degrees two-theta, sorted by position:
| 2θ/deg | I_rel |
| --- | --- |
| 25.3 | 100 |
| 41.2 | 93 |
| 43.6 | 16 |
| 46.7 | 4 |
| 51.1 | 35 |
| 52.0 | 7 |
| 55.7 | 9 |
| 65.8 | 18 |
| 71.9 | 5 |
| 73.3 | 9 |
| 82.3 | 3 |
| 85.6 | 10 |

* * * * *

Theoretical X-ray diffraction stick pattern
Compound: Ba2V2FeO9
Radiation: Cu Kα
Structure: the GGA+U geometry in Alexandria
Intensities are scaled so that the largest is 100.

Peak list (10 most intense, 2θ = 10–80°, sorted by position)
2θ 23.61, I 41; 2θ 25.49, I 100; 2θ 27.87, I 42; 2θ 28.25, I 46; 2θ 30.23, I 33; 2θ 31.38, I 50; 2θ 32.38, I 21; 2θ 38.05, I 27; 2θ 41.85, I 30; 2θ 44.50, I 23

Structure:
Cell lengths 8.676, 5.913, 9.493 Å; angles 90.00, 114.69, 90.00 degrees
Positions (direct):
Ba (0.197, 0.250, 0.235)
Ba (0.212, 0.750, 0.594)
Ba (0.788, 0.250, 0.406)
Ba (0.803, 0.750, 0.765)
V (0.088, 0.250, 0.803)
V (0.499, 0.250, 0.690)
V (0.501, 0.750, 0.310)
V (0.912, 0.750, 0.197)
Fe (0.500, 0.000, 0.000)
Fe (0.500, 0.500, 0.000)
O (0.003, 0.750, 0.070)
O (0.015, 0.017, 0.684)
O (0.015, 0.483, 0.684)
O (0.295, 0.250, 0.552)
O (0.320, 0.250, 0.908)
O (0.356, 0.750, 0.926)
O (0.364, 0.750, 0.396)
O (0.464, 0.002, 0.195)
O (0.464, 0.498, 0.195)
O (0.536, 0.502, 0.805)
O (0.536, 0.998, 0.805)
O (0.636, 0.250, 0.604)
O (0.644, 0.250, 0.074)
O (0.680, 0.750, 0.092)
O (0.705, 0.750, 0.448)
O (0.985, 0.517, 0.316)
O (0.985, 0.983, 0.316)
O (0.997, 0.250, 0.930)

* * * * *

Calculated PXRD pattern
Compound: CsCe3I9
Radiation: CuKα
Structure: a crystal structure in Alexandria, relaxed with GGA-PBE
Lines closer than 0.1° are merged.

Crystal structure
Cell: 12.0255 12.0255 6.3208 Å, 90.00 90.00 120.00°
Space group P6/mmm (No. 191)
Unique sites:
Cs  0.0000  0.0000  0.0000
Ce  0.0000  0.5000  0.5000
I  0.0000  0.5000  0.0000
I  0.1967  0.3934  0.5000

Principal peaks in the range 2θ from 5° to 70°, by angle:
Position (°2θ)	I (rel.)
8.49	25
14.01	46
14.73	27
17.03	70
20.39	27
22.12	40
28.24	56
29.35	23
29.72	100
33.16	27
34.45	23
41.45	80

* * * * *

[1]
Theoretical powder diffraction line list
Compound: Li3YPb2
Radiation: Cu Kα (weighted mean of Kα1 and Kα2)
Structure: a DFT-relaxed cell (PBE, Alexandria)

Exercise
Could you restate the entries further up word for word?

Completed
Theoretical powder X-ray diffraction pattern
Compound: Er3UAg3S8
Radiation: CuKα
Structure: the PBE geometry in Alexandria
Neutral-atom scattering factors, no anomalous dispersion.

```
data_Er3UAg3S8
_chemical_formula_sum 'Er6 U2 Ag6 S16'
_symmetry_space_group_name_H-M 'C 1 2/m 1'
_symmetry_Int_Tables_number 12
_cell_length_a 13.0887
_cell_length_b 7.9850
_cell_length_c 7.6954
_cell_angle_alpha 90.00
_cell_angle_beta 122.61
_cell_angle_gamma 90.00
loop_
_symmetry_equiv_pos_as_xyz
'x,y,z'
'-x,-y,-z'
'-x,y,-z'
'x,-y,z'
'x+1/2,y+1/2,z'
'-x+1/2,-y+1/2,-z'
'-x+1/2,y+1/2,-z'
'x+1/2,-y+1/2,z'
loop_
_atom_site_label
_atom_site_type_symbol
_atom_site_fract_x
_atom_site_fract_y
_atom_site_fract_z
_atom_site_occupancy
Er1 Er 0.0000 0.0000 0.0000 1
Er2 Er 0.2500 0.2500 0.5000 1
U1 U 0.0000 0.5000 0.0000 1
Ag1 Ag 0.0000 0.5000 0.5000 1
Ag2 Ag 0.2500 0.2500 0.0000 1
S1 S 0.0042 0.2508 0.2432 1
S2 S 0.2448 0.5000 0.2551 1
S3 S 0.2472 0.0000 0.2546 1
```

Main lines, by angle (10 to 90 degrees two-theta):
- 13.68°, 6.472 Å, I 20, hkl 1 1 0
- 14.43°, 6.138 Å, I 32, hkl 2 0 -1
- 26.23°, 3.397 Å, I 20, hkl 2 0 1
- 27.56°, 3.236 Å, I 79, hkl 2 2 0
- 29.10°, 3.069 Å, I 23, hkl 4 0 -2
- 32.34°, 2.768 Å, I 100, hkl 2 2 -2
- 32.48°, 2.756 Å, I 49, hkl 4 0 0
- 45.45°, 1.996 Å, I 57, hkl 2 2 2
- 47.52°, 1.914 Å, I 33, hkl 6 2 -2
- 75.59°, 1.258 Å, I 20, hkl 0 4 4

* * * * *

Computed powder diffractogram
Compound: BHF4
Radiation: Cu Kα
Structure: the PBE geometry in Alexandria
Peak positions follow from Bragg's law for the DFT cell and can differ from measured ones.

Crystal structure
a = 4.1515 Å, b = 4.1515 Å, c = 6.6008 Å
α = 90.00°, β = 90.00°, γ = 90.00°
Space group I-4 (No. 82)
Unique sites:
B 0.0000 0.0000 0.0000 x2
H 0.0000 0.5000 0.7500 x2
F 0.1494 0.7610 0.8784 x8

Principal peaks in the range 10 to 90 degrees two-theta, sorted by position:
| 2θ/deg | I_rel |
| --- | --- |
| 25.3 | 100 |
| 41.2 | 93 |
| 43.6 | 16 |
| 46.7 | 4 |
| 51.1 | 35 |
| 52.0 | 7 |
| 55.7 | 9 |
| 65.8 | 18 |
| 71.9 | 5 |
| 73.3 | 9 |
| 82.3 | 3 |
| 85.6 | 10 |

* * * * *

Theoretical X-ray diffraction stick pattern
Compound: Ba2V2FeO9
Radiation: Cu Kα
Structure: the GGA+U geometry in Alexandria
Intensities are scaled so that the largest is 100.

Peak list (10 most intense, 2θ = 10–80°, sorted by position)
2θ 23.61, I 41; 2θ 25.49, I 100; 2θ 27.87, I 42; 2θ 28.25, I 46; 2θ 30.23, I 33; 2θ 31.38, I 50; 2θ 32.38, I 21; 2θ 38.05, I 27; 2θ 41.85, I 30; 2θ 44.50, I 23

Structure:
Cell lengths 8.676, 5.913, 9.493 Å; angles 90.00, 114.69, 90.00 degrees
Positions (direct):
Ba (0.197, 0.250, 0.235)
Ba (0.212, 0.750, 0.594)
Ba (0.788, 0.250, 0.406)
Ba (0.803, 0.750, 0.765)
V (0.088, 0.250, 0.803)
V (0.499, 0.250, 0.690)
V (0.501, 0.750, 0.310)
V (0.912, 0.750, 0.197)
Fe (0.500, 0.000, 0.000)
Fe (0.500, 0.500, 0.000)
O (0.003, 0.750, 0.070)
O (0.015, 0.017, 0.684)
O (0.015, 0.483, 0.684)
O (0.295, 0.250, 0.552)
O (0.320, 0.250, 0.908)
O (0.356, 0.750, 0.926)
O (0.364, 0.750, 0.396)
O (0.464, 0.002, 0.195)
O (0.464, 0.498, 0.195)
O (0.536, 0.502, 0.805)
O (0.536, 0.998, 0.805)
O (0.636, 0.250, 0.604)
O (0.644, 0.250, 0.074)
O (0.680, 0.750, 0.092)
O (0.705, 0.750, 0.448)
O (0.985, 0.517, 0.316)
O (0.985, 0.983, 0.316)
O (0.997, 0.250, 0.930)

* * * * *

Calculated PXRD pattern
Compound: CsCe3I9
Radiation: CuKα
Structure: a crystal structure in Alexandria, relaxed with GGA-PBE
Lines closer than 0.1° are merged.

Crystal structure
Cell: 12.0255 12.0255 6.3208 Å, 90.00 90.00 120.00°
Space group P6/mmm (No. 191)
Unique sites:
Cs  0.0000  0.0000  0.0000
Ce  0.0000  0.5000  0.5000
I  0.0000  0.5000  0.0000
I  0.1967  0.3934  0.5000

Principal peaks in the range 2θ from 5° to 70°, by angle:
Position (°2θ)	I (rel.)
8.49	25
14.01	46
14.73	27
17.03	70
20.39	27
22.12	40
28.24	56
29.35	23
29.72	100
33.16	27
34.45	23
41.45	80

* * * * *

[1]
Theoretical powder diffraction line list
Compound: Li3YPb2
Radiation: Cu Kα (weighted mean of Kα1 and Kα2)
Structure: a DFT-relaxed cell (PBE, Alexandria)